NASA has launched their first yearlong crewed mission to the International Space Station!
No American has lived in space for more than 215 days—Scott Kelly will be the first. And to make things even more interesting, he is a twin. NASA will use the opportunity to study the effects of spaceflight on astronauts. The research—dubbed the Twins Study by NASA—will consist of 10 investigations, ranging from how spaceflight affects their eyesight to gut bacteria to changes in gene activity.
“We realized this is a unique opportunity to perform a class of novel studies because we had one twin flying aboard the International Space Station and one twin on the ground,” said Craig Kundrot, deputy chief scientist of NASA’s Human Research Program. “We can study two individuals who have the same genetics, but are in different environments for one year.”
The following is a DFT calculation (PBE) of Ba3Er2P4S16 after structural relaxation.

Unit cell a=10.396 b=12.724 c=19.420 alpha=90.00 beta=90.00 gamma=90.00
Sites, in units of the cell vectors:
S1 0.935 0.229 0.651
S2 0.821 0.829 0.568
S3 0.114 0.394 0.150
S4 0.114 0.106 0.850
S5 0.111 0.902 0.516
S6 0.111 0.598 0.484
S7 0.504 0.014 0.166
S8 0.821 0.671 0.432
S9 0.570 0.387 0.647
S10 0.790 0.114 0.809
S11 0.496 0.514 0.166
S12 0.065 0.771 0.349
S13 0.004 0.014 0.334
S14 0.379 0.085 0.532
S15 0.886 0.606 0.850
S16 0.570 0.113 0.353
S17 0.790 0.386 0.191
S18 0.070 0.113 0.147
S19 0.004 0.486 0.666
S20 0.996 0.986 0.666
S21 0.121 0.915 0.032
S22 0.321 0.671 0.068
S23 0.386 0.606 0.650
S24 0.879 0.085 0.968
S25 0.710 0.614 0.691
S26 0.565 0.729 0.849
S27 0.889 0.402 0.516
S28 0.435 0.271 0.151
S29 0.996 0.514 0.334
S30 0.886 0.894 0.150
S31 0.496 0.986 0.834
S32 0.121 0.585 0.968
S33 0.070 0.387 0.853
S34 0.611 0.598 0.016
S35 0.290 0.114 0.691
S36 0.179 0.171 0.432
S37 0.065 0.729 0.651
S38 0.179 0.329 0.568
S39 0.389 0.098 0.016
S40 0.379 0.415 0.468
S41 0.621 0.915 0.468
S42 0.614 0.106 0.650
S43 0.210 0.886 0.191
S44 0.935 0.271 0.349
S45 0.210 0.614 0.809
S46 0.930 0.887 0.853
S47 0.621 0.585 0.532
S48 0.504 0.486 0.834
S49 0.435 0.229 0.849
S50 0.290 0.386 0.309
S51 0.611 0.902 0.984
S52 0.879 0.415 0.032
S53 0.430 0.613 0.353
S54 0.710 0.886 0.309
S55 0.386 0.894 0.350
S56 0.679 0.171 0.068
S57 0.889 0.098 0.484
S58 0.321 0.829 0.932
S59 0.389 0.402 0.984
S60 0.930 0.613 0.147
S61 0.679 0.329 0.932
S62 0.430 0.887 0.647
S63 0.614 0.394 0.350
S64 0.565 0.771 0.151
Er1 0.129 0.113 0.573
Er2 0.629 0.113 0.927
Er3 0.629 0.387 0.073
Er4 0.371 0.887 0.073
Er5 0.871 0.613 0.573
Er6 0.129 0.387 0.427
Er7 0.871 0.887 0.427
Er8 0.371 0.613 0.927
P1 0.495 0.140 0.102
P2 0.005 0.860 0.602
P3 0.995 0.140 0.398
P4 0.936 0.048 0.869
P5 0.495 0.360 0.898
P6 0.936 0.452 0.131
P7 0.436 0.048 0.631
P8 0.564 0.548 0.631
P9 0.064 0.952 0.131
P10 0.564 0.952 0.369
P11 0.995 0.360 0.602
P12 0.064 0.548 0.869
P13 0.505 0.860 0.898
P14 0.005 0.640 0.398
P15 0.436 0.452 0.369
P16 0.505 0.640 0.102
Ba1 0.617 0.250 0.500
Ba2 0.789 0.391 0.773
Ba3 0.117 0.250 0.000
Ba4 0.789 0.109 0.227
Ba5 0.711 0.891 0.727
Ba6 0.289 0.109 0.273
Ba7 0.211 0.609 0.227
Ba8 0.383 0.750 0.500
Ba9 0.211 0.891 0.773
Ba10 0.711 0.609 0.273
Ba11 0.883 0.750 0.000
Ba12 0.289 0.391 0.727

Computed properties:
The calculation puts the formation energy from the elements at -37.19 eV/f.u. As for the space group: Pbcn.

~~~~~

1.
DFT (GGA+U) results for an optimized crystal structure of Mg6BWO8.

Symmetry = No. 123
Total magnetic moment = 0.187 μB/atom
Uncorrected energy = -5.934 eV/atom

abc: 8.761 4.322 4.322
angles: 90.00 90.00 90.00
Positions (direct):
Mg  0.500  0.000  0.000
Mg  0.500  0.500  0.500
Mg  0.254  0.000  0.500
Mg  0.746  0.000  0.500
Mg  0.254  0.500  0.000
Mg  0.746  0.500  0.000
B  0.000  0.500  0.500
W  0.000  0.000  0.000
O  0.251  0.000  0.000
O  0.749  0.000  0.000
End of the materials data:
Scott Kelly and his twin brother Mark Kelly, a retired NASA astronaut, have launched extremely similar career trajectories: They have both been naval aviators, Navy test pilots, and astronauts. However, while the duo have lived in space, they have never done so at the same time.
This yearlong mission is part of a study aimed at understanding the physical and psychological toll of floating through life (in the most literal sense of the word). While flying weightless through pressurized modules is fun, it does have its drawbacks. Space is a harsh environment for the human body: Muscles weaken, bones become more brittle, eyeballs warp in shape, and the heart doesn’t beat as well.
“We’re doing this so that we can mitigate those effects, so we can eventually go beyond low-Earth orbit one day and explore further than we’ve gone before,” Kelly told The New York Times. The research is in preparation for a possible three-year round trip mission to Mars.
Scientists have found one way to mitigate the rapidity of muscle loss: It is vital astronauts aboard the ISS don’t shirk their workouts. If they do, their bone and muscle mass quickly deteriorate—much faster than on Earth because they don’t have the weight-bearing effect of gravity.
While no American has stayed in space for longer than 215 days, a longer feat has been achieved by Russian cosmonauts. The record-holder for the longest time spent in space for a single duration is Valeri Polyakov from Russia at 437 days. The man who has spent the most cumulative time in space is Sergei Krikalev at 803 days, spread out over six spaceflights.
For Scott Kelly, this is his fourth time in space, which means he will have spent more than 500 days in space when he returns to Earth in March 2016. With him is Russia’s Mikhail Kornienko, who is also living aboard the ISS for the next year, and Gennady Padalka, who is staying for six months and upon completion will surpass Krikalev’s record with a total time of 878 days.
Via IFL Science